_What to do_
It remains to filter the contents further down: keep the lines with the word "structure".

_Given_
+++
Starting from a structure optimized by DFT (PBE), the powder diffraction line list of Gd2InNi2 was computed for Cu Kα X-rays.
Kinematic intensities with the Lorentz-polarization factor, no thermal factor.

Structure:
Unit cell a=7.488 b=7.488 c=3.716 alpha=90.00 beta=90.00 gamma=148.84
Element x y z (fractional)
1 Gd 0.138 0.862 0.000
2 Gd 0.862 0.138 0.000
3 In 0.500 0.500 0.500
4 Ni 0.301 0.699 0.500
5 Ni 0.699 0.301 0.500

Peak list (10 most intense, 5 to 70 degrees two-theta, low angle first)
2θ (°)  I/Imax
28.94  42
33.41  100
34.66  71
37.90  36
38.39  35
45.08  26
49.03  20
55.90  18
58.08  32
63.94  15

* * * * *

Starting from the GGA-PBE geometry in Alexandria, the X-ray diffraction stick pattern of Tb4DyHoSe8 was computed for Cu Kα (λ = 1.5418 Å).

Peak list (8 most intense, 10° ≤ 2θ ≤ 90°, sorted by position)
2θ = 21.07°, I = 27.3; 2θ = 24.76°, I = 97.5; 2θ = 29.97°, I = 48.0; 2θ = 39.25°, I = 49.1; 2θ = 42.89°, I = 100.0; 2θ = 59.53°, I = 23.6; 2θ = 62.27°, I = 16.0; 2θ = 78.58°, I = 32.2

Cell and atoms:
```
Tb4DyHoSe8
1.0
4.218 2.435 6.884
-4.218 2.435 6.884
0.000 -4.870 6.884
Tb Dy Ho Se
4 1 1 8
Cartesian
0.000 0.000 0.000 Tb
-2.105 -1.215 9.464 Tb
2.105 -1.215 9.464 Tb
0.000 2.430 9.464 Tb
0.000 0.000 12.898 Dy
0.000 0.000 5.158 Ho
0.000 0.000 7.874 Se
0.000 -2.301 11.146 Se
-1.993 1.150 11.146 Se
-1.975 -1.140 14.668 Se
1.993 1.150 11.146 Se
1.975 -1.140 14.668 Se
0.000 2.280 14.668 Se
0.000 0.000 17.915 Se
```

Starting from the GGA-PBE geometry in Alexandria, the X-ray diffraction stick pattern of NaSi2BH2O7 was computed for Cu Kα (λ = 1.5418 Å).

Peak list (8 most intense, 10° ≤ 2θ ≤ 90°, sorted by position)
2θ = 15.25°, I = 29.8; 2θ = 17.07°, I = 34.8; 2θ = 17.85°, I = 49.1; 2θ = 18.00°, I = 100.0; 2θ = 20.48°, I = 53.9; 2θ = 21.77°, I = 47.0; 2θ = 26.47°, I = 47.1; 2θ = 30.81°, I = 32.7

Cell and atoms:
```
NaSi2BH2O7
1.0
5.259 0.000 0.000
0.000 7.158 0.000
-1.560 0.000 9.940
Na Si B H O
2 4 2 4 14
Cartesian
-0.705 0.000 4.921 Na
4.405 3.579 5.019 Na
-0.360 4.296 8.858 Si
-0.147 0.190 9.313 Si
3.846 3.769 0.627 Si
4.059 0.717 1.082 Si
0.047 2.171 7.174 B
3.653 5.750 2.766 B
0.563 5.094 3.412 H
1.797 5.300 4.315 H
1.902 1.721 5.626 H
3.136 1.515 6.528 H
0.288 0.317 0.545 O
-0.398 1.374 8.247 O
-0.297 5.901 8.572 O
-0.080 3.567 7.419 O
0.405 1.715 5.989 O
0.776 5.266 4.348 O
2.340 3.873 0.009 O
1.360 0.294 9.931 O
2.923 1.687 5.592 O
3.294 5.294 3.951 O
3.780 7.146 2.521 O
3.996 2.322 1.368 O
4.097 4.953 1.693 O
3.411 3.897 9.395 O
```

Starting from the GGA-PBE geometry in Alexandria, the X-ray diffraction stick pattern of Cs2Sb4S7 was computed for Cu Kα (λ = 1.5418 Å).

Peak list (8 most intense, 10° ≤ 2θ ≤ 90°, sorted by position)
2θ = 23.23°, I = 53.1; 2θ = 23.41°, I = 100.0; 2θ = 24.24°, I = 68.4; 2θ = 27.26°, I = 25.6; 2θ = 29.03°, I = 24.7; 2θ = 30.23°, I = 27.0; 2θ = 31.00°, I = 20.8; 2θ = 32.93°, I = 36.0

Cell and atoms:
```
Cs2Sb4S7
1.0
11.651 0.000 0.000
0.000 12.510 0.000
-2.097 0.000 11.991
Cs Sb S
8 16 28
Cartesian
-0.176 0.852 2.097 Cs
-1.225 5.403 8.093 Cs
3.548 6.812 9.662 Cs
4.597 11.953 3.666 Cs
4.957 0.557 8.325 Cs
6.005 5.698 2.329 Cs
10.778 7.107 3.899 Cs
9.729 11.658 9.894 Cs
0.615 1.846 7.077 Sb
1.664 4.409 1.082 Sb
2.249 8.023 0.660 Sb
1.201 10.742 6.656 Sb
1.473 1.746 11.387 Sb
2.521 4.509 5.391 Sb
3.289 8.248 5.110 Sb
2.240 10.517 11.106 Sb
7.313 1.993 0.885 Sb
6.265 4.262 6.881 Sb
7.032 8.001 6.600 Sb
8.081 10.764 0.605 Sb
8.353 1.768 5.335 Sb
7.304 4.487 11.331 Sb
7.890 8.101 10.910 Sb
8.939 10.664 4.914 Sb
-0.712 2.573 10.845 S
0.336 3.682 4.850 S
1.402 0.309 5.289 S
0.354 5.946 11.285 S
0.562 9.113 10.111 S
1.611 9.653 4.115 S
2.459 6.304 2.690 S
1.410 12.462 8.685 S
1.889 6.685 6.487 S
2.938 12.081 0.492 S
3.644 3.006 1.608 S
2.596 3.249 7.604 S
4.584 8.836 1.007 S
3.535 9.930 7.002 S
6.018 2.580 4.989 S
4.970 3.675 10.985 S
6.958 9.261 4.388 S
5.909 9.504 10.383 S
6.616 0.430 11.500 S
7.664 5.825 5.504 S
8.143 0.048 3.306 S
7.095 6.207 9.302 S
7.943 2.858 7.876 S
+++

_Done_
Starting from a structure optimized by DFT (PBE), the powder diffraction line list of Gd2InNi2 was computed for Cu Kα X-rays.